• Work order:
Return only the last part of the lines underneath, starting with the line that has "-7.930 -5.431".

• Input:
- - -
A structure of composition C45H42B2F9LiN2O20, computed with wB97M-V/def2-TZVPD.

Its net charge is 0. Its LUMO energy is -3.5 eV.

XYZ file:
```
121
Properties=species:S:1:pos:R:3:lowdin_charge:R:1
C 4.676 5.282 2.573 0.14
C 3.721 4.673 2.126 -0.05
C 2.417 3.881 1.881 -0.04
C 2.471 2.658 1.207 0.04
B 3.816 1.980 0.617 -0.51
O 3.955 0.565 0.692 0.10
N 4.947 2.732 0.013 -0.15
C 4.862 2.758 -1.464 -0.09
C 6.272 2.245 0.497 -0.06
C 1.077 1.928 1.066 -0.26
O 1.071 0.869 0.448 0.10
C -0.247 2.487 1.711 0.02
C -1.478 1.500 1.559 -0.19
O -1.918 1.035 2.586 0.18
C -2.087 1.193 0.114 -0.25
F -1.219 1.826 -0.805 0.06
F -3.325 1.824 0.055 0.12
C -2.286 -0.343 -0.177 -0.24
F -1.121 -1.083 -0.063 0.13
F -3.177 -0.829 0.801 0.11
C -2.944 -0.690 -1.582 -0.23
F -2.629 0.197 -2.598 0.10
F -2.389 -1.939 -1.949 0.07
C -4.520 -0.870 -1.582 -0.35
O -5.212 -0.069 -2.167 0.17
O -5.183 -1.942 -0.976 0.08
C -0.313 3.706 2.377 -0.03
C -1.647 4.194 3.033 -0.11
C -2.007 5.722 2.773 -0.14
C -3.166 5.940 1.725 -0.19
C -4.347 6.777 2.138 -0.04
C -5.478 7.086 1.219 -0.06
C -5.402 6.527 -0.170 -0.08
C -4.257 5.661 -0.582 -0.08
C -3.128 5.354 0.345 -0.04
C 1.052 4.499 2.437 -0.22
O 1.157 5.604 2.939 0.12
H 5.395 6.089 2.860 0.08
H 4.384 0.243 -0.133 0.08
H 3.758 2.957 -1.727 0.03
H 5.255 1.819 -1.964 0.07
H 5.419 3.690 -1.813 0.11
H 6.121 1.715 1.491 0.10
H 6.825 1.595 -0.242 0.10
H 6.902 3.160 0.748 0.10
H -4.729 -2.762 -1.292 0.09
H -1.511 4.083 4.160 0.14
H -2.554 3.582 2.772 0.12
H -2.398 6.134 3.759 0.12
H -1.143 6.368 2.451 0.11
H -4.398 7.216 3.193 0.09
H -6.307 7.742 1.593 0.10
H -6.236 6.787 -0.870 0.09
H -4.207 5.220 -1.621 0.10
H -2.238 4.716 0.089 0.09
Li 1.832 3.280 -1.785 0.85
C -7.483 -7.537 -1.241 0.08
C -7.101 -6.292 -1.538 -0.22
C -5.737 -5.792 -1.189 -0.29
O -5.420 -4.654 -1.496 0.09
C -4.832 -6.697 -0.485 0.08
C -5.215 -7.942 -0.184 -0.22
C -6.569 -8.452 -0.556 -0.31
O -6.873 -9.597 -0.281 0.12
O -4.396 -8.792 0.467 0.11
O -7.930 -5.431 -2.167 0.11
H -8.467 -7.912 -1.489 0.14
H -3.854 -6.317 -0.224 0.14
H -4.903 -9.622 0.562 0.12
H -7.422 -4.603 -2.268 0.12
C 2.445 -4.351 -6.338 -0.02
O 1.491 -3.284 -6.256 0.01
C 1.092 -3.023 -5.013 -0.61
O 1.458 -3.594 -4.016 0.12
O 0.223 -1.997 -5.050 0.00
C -0.256 -1.623 -3.765 -0.06
H 2.707 -4.484 -7.387 0.10
H 3.351 -4.097 -5.788 0.09
H 2.016 -5.283 -5.969 0.11
H 0.574 -1.298 -3.133 0.10
H -0.796 -2.443 -3.298 0.09
H -0.941 -0.786 -3.892 0.08
F -5.209 6.884 5.176 0.04
C -6.129 5.904 5.219 -0.29
C -7.442 6.212 5.529 -0.02
C -8.391 5.198 5.565 -0.08
C -8.015 3.886 5.299 -0.09
C -6.692 3.588 4.993 -0.08
C -5.745 4.602 4.947 -0.02
H -7.715 7.239 5.742 0.12
H -9.423 5.430 5.800 0.11
H -8.755 3.095 5.331 0.10
H -6.399 2.564 4.790 0.11
H -4.711 4.389 4.701 0.11
C 5.668 -2.539 -2.579 -0.03
C 4.897 -1.272 -2.463 -0.20
N 4.294 -0.288 -2.371 0.13
H 5.134 -3.344 -2.074 0.09
H 5.796 -2.801 -3.630 0.08
H 6.649 -2.418 -2.120 0.09
B 5.455 -6.213 -7.435 -1.03
O 5.520 -5.315 -6.259 0.20
C 6.663 -5.557 -5.633 -0.41
O 7.025 -4.989 -4.629 0.11
C 7.407 -6.618 -6.357 -0.41
O 8.481 -7.068 -6.049 0.14
O 6.702 -7.005 -7.414 0.22
F 5.379 -5.447 -8.630 0.10
F 4.326 -7.071 -7.332 0.11
C 5.322 -0.488 3.856 -0.04
O 6.427 -1.183 3.280 0.00
C 7.264 -1.726 4.177 -0.61
O 7.151 -1.668 5.375 0.13
O 8.247 -2.342 3.507 0.00
C 9.220 -2.971 4.341 -0.04
H 4.718 -0.095 3.039 0.07
H 4.706 -1.167 4.447 0.10
H 5.669 0.348 4.466 0.10
H 8.759 -3.749 4.952 0.10
H 9.722 -2.234 4.970 0.10
H 9.962 -3.434 3.692 0.09
```
- - -

• Outcome:
O -7.930 -5.431 -2.167 0.11
H -8.467 -7.912 -1.489 0.14
H -3.854 -6.317 -0.224 0.14
H -4.903 -9.622 0.562 0.12
H -7.422 -4.603 -2.268 0.12
C 2.445 -4.351 -6.338 -0.02
O 1.491 -3.284 -6.256 0.01
C 1.092 -3.023 -5.013 -0.61
O 1.458 -3.594 -4.016 0.12
O 0.223 -1.997 -5.050 0.00
C -0.256 -1.623 -3.765 -0.06
H 2.707 -4.484 -7.387 0.10
H 3.351 -4.097 -5.788 0.09
H 2.016 -5.283 -5.969 0.11
H 0.574 -1.298 -3.133 0.10
H -0.796 -2.443 -3.298 0.09
H -0.941 -0.786 -3.892 0.08
F -5.209 6.884 5.176 0.04
C -6.129 5.904 5.219 -0.29
C -7.442 6.212 5.529 -0.02
C -8.391 5.198 5.565 -0.08
C -8.015 3.886 5.299 -0.09
C -6.692 3.588 4.993 -0.08
C -5.745 4.602 4.947 -0.02
H -7.715 7.239 5.742 0.12
H -9.423 5.430 5.800 0.11
H -8.755 3.095 5.331 0.10
H -6.399 2.564 4.790 0.11
H -4.711 4.389 4.701 0.11
C 5.668 -2.539 -2.579 -0.03
C 4.897 -1.272 -2.463 -0.20
N 4.294 -0.288 -2.371 0.13
H 5.134 -3.344 -2.074 0.09
H 5.796 -2.801 -3.630 0.08
H 6.649 -2.418 -2.120 0.09
B 5.455 -6.213 -7.435 -1.03
O 5.520 -5.315 -6.259 0.20
C 6.663 -5.557 -5.633 -0.41
O 7.025 -4.989 -4.629 0.11
C 7.407 -6.618 -6.357 -0.41
O 8.481 -7.068 -6.049 0.14
O 6.702 -7.005 -7.414 0.22
F 5.379 -5.447 -8.630 0.10
F 4.326 -7.071 -7.332 0.11
C 5.322 -0.488 3.856 -0.04
O 6.427 -1.183 3.280 0.00
C 7.264 -1.726 4.177 -0.61
O 7.151 -1.668 5.375 0.13
O 8.247 -2.342 3.507 0.00
C 9.220 -2.971 4.341 -0.04
H 4.718 -0.095 3.039 0.07
H 4.706 -1.167 4.447 0.10
H 5.669 0.348 4.466 0.10
H 8.759 -3.749 4.952 0.10
H 9.722 -2.234 4.970 0.10
H 9.962 -3.434 3.692 0.09
```